Input.
=====
(1)
DFT (PBE-GGA) results for a relaxed structure of KCeMg14O16.

Properties
Density ... 3702 kg/m³
V ... 348 Å³/f.u.
SG ... P4/mmm (123)
ΔE to the lowest computed polymorph ... 0 meV/atom
Energy ... -5.901 eV per atom

a b c (Å): 8.8081 8.8081 4.4840
angles (deg): 90.00 90.00 90.00
Atoms (fractional coordinates):
1 O 0.5000 0.7614 0.0000
2 O 0.5000 0.5000 0.5000
3 O 0.5000 0.0000 0.5000
4 O 0.7262 0.0000 0.0000
5 O 0.0000 0.0000 0.5000
6 O 0.5000 0.2386 0.0000
7 O 0.2511 0.2511 0.5000
8 O 0.0000 0.2738 0.0000
9 O 0.7614 0.5000 0.0000
10 O 0.2511 0.7489 0.5000
11 O 0.0000 0.5000 0.5000
12 O 0.2738 0.0000 0.0000
13 O 0.7489 0.7489 0.5000
14 O 0.7489 0.2511 0.5000
15 O 0.2386 0.5000 0.0000
16 O 0.0000 0.7262 0.0000
17 Mg 0.7601 0.2399 0.0000
18 Mg 0.0000 0.7520 0.5000
19 Mg 0.5000 0.7687 0.5000
20 Mg 0.2399 0.2399 0.0000
21 Mg 0.2480 0.0000 0.5000
22 Mg 0.7687 0.5000 0.5000
23 Mg 0.0000 0.2480 0.5000
24 Mg 0.7520 0.0000 0.5000
25 Mg 0.7601 0.7601 0.0000
26 Mg 0.2399 0.7601 0.0000
27 Mg 0.5000 0.2313 0.5000
28 Mg 0.0000 0.5000 0.0000
29 Mg 0.2313 0.5000 0.5000
30 Mg 0.5000 0.0000 0.0000
31 K 0.0000 0.0000 0.0000
32 Ce 0.5000 0.5000 0.0000

=====

(2)
DFT (PBE-GGA) results for a relaxed structure of ThUO4.

Properties
Density ... 10457 kg/m³
V ... 85 Å³/f.u.
SG ... P4/mmm (123)
Energy ... -9.969 eV per atom

a b c (Å): 3.9120 3.9120 5.5418
angles (deg): 90.00 90.00 90.00
Atoms (fractional coordinates):
1 O 0.5000 0.0000 0.2437
2 O 0.5000 0.0000 0.7563
3 O 0.0000 0.5000 0.7563
4 O 0.0000 0.5000 0.2437
5 Th 0.0000 0.0000 0.5000
6 U 0.5000 0.5000 0.0000

=====

(3)
DFT (PBE-GGA) results for a relaxed structure of NaDyO2.

Properties
Density ... 6470 kg/m³
V ... 56 Å³/f.u.
SG ... C2/c (15)
Energy ... -6.767 eV per atom

a b c (Å): 7.4384 7.4384 5.9823
angles (deg): 75.95 75.95 126.68
Atoms (fractional coordinates):
1 Na 0.0559 0.9441 0.2500
2 Na 0.1804 0.8196 0.7500
3 Na 0.8196 0.1804 0.2500
4 Na 0.9441 0.0559 0.7500
5 O 0.5404 0.9167 0.7921
6 O 0.7691 0.6423 0.7936
7 O 0.9167 0.5404 0.2921
8 O 0.4596 0.0833 0.2079
9 O 0.3577 0.2309 0.7064
10 O 0.0833 0.4596 0.7079
11 O 0.6423 0.7691 0.2936
12 O 0.2309 0.3577 0.2064
13 Dy 0.4328 0.5672 0.7500
14 Dy 0.5672 0.4328 0.2500
15 Dy 0.3069 0.6931 0.2500
16 Dy 0.6931 0.3069 0.7500

=====

(4)
DFT (PBE-GGA) results for a relaxed structure of Pr3PtBr3.

Properties
Density ... 6166 kg/m³
V ... 231 Å³/f.u.
SG ... I4_132 (214)
Energy ... -5.105 eV per atom

a b c (Å): 10.6266 10.6266 10.6266
angles (deg): 109.47 109.47 109.47
Atoms (fractional coordinates):
1 Pr 0.7500 0.0143 0.4857
2 Pr 0.2643 0.7500 0.2357
3 Pr 0.0143 0.0286 0.2643
4 Pr 0.2357 0.4714 0.4857
5 Pr 0.7500 0.2357 0.2643
6 Pr 0.0286 0.2643 0.0143
7 Pr 0.0143 0.4857 0.7500
8 Pr 0.4857 0.7500 0.0143
9 Pr 0.2643 0.0143 0.0286
10 Pr 0.4857 0.2357 0.4714
11 Pr 0.2357 0.2643 0.7500
12 Pr 0.4714 0.4857 0.2357
13 Br 0.2500 0.7544 0.7456
14 Br 0.5089 0.5044 0.7544
15 Br 0.5044 0.7544 0.5089
16 Br 0.7456 0.2500 0.7544
17 Br 0.9911 0.7456 0.9956
18 Br 0.9956 0.5044 0.2500
19 Br 0.7456 0.9956 0.9911
20 Br 0.2500 0.9956 0.5044
21 Br 0.7544 0.5089 0.5044
22 Br 0.5044 0.2500 0.9956
23 Br 0.9956 0.9911 0.7456
24 Br 0.7544 0.7456 0.2500
25 Pt 0.2500 0.5000 0.0000
26 Pt 0.0000 0.2500 0.5000
27 Pt 0.2500 0.2500 0.2500
28 Pt 0.5000 0.0000 0.2500

=====

(5)
DFT (PBE-GGA) results for a relaxed structure of La5In3Br.

Properties
Density ... 6401 kg/m³
V ... 290 Å³/f.u.
SG ... P6_3/mcm (193)
Energy ... -4.512 eV per atom

a b c (Å): 9.8047 9.8047 6.9733
angles (deg): 90.00 90.00 120.00
Atoms (fractional coordinates):
1 La 0.0000 0.7342 0.7500
2 La 0.0000 0.2658 0.2500
3 La 0.7342 0.0000 0.7500
4 La 0.3333 0.6667 0.5000
5 La 0.6667 0.3333 0.5000
6 La 0.6667 0.3333 0.0000
7 La 0.2658 0.0000 0.2500
8 La 0.3333 0.6667 0.0000
9 La 0.2658 0.2658 0.7500
10 La 0.7342 0.7342 0.2500
11 In 0.6083 0.0000 0.2500
12 In 0.3917 0.0000 0.7500
13 In 0.3917 0.3917 0.2500
14 In 0.6083 0.6083 0.7500
15 In 0.0000 0.6083 0.2500
16 In 0.0000 0.3917 0.7500
=====

Activity.
The reader should say how many lines of the entries further up hold the word "PBE-GGA", as a bare number.

Reply.
5